IMPROVE > Design > Positions
This UI of Prestashop application stands for the whole list of Positioning Hooks.
Positions listing
UI elements of the filtering in the top
The following elements of this page are:
- Show All Modules dropdown - once clicked, the dropdown element appears with the vertical list of all the modules installed in Prestashop. For faster searching capability, there is a search input field right at the top of module list. Typing first letters of the module name will throw search results and appropriate module. By default, the dropdown is set to All modules state.
- Search for hook - input text field, that is used for searching available hooks by naming them and writing the beginning of the name phrase. Once there are some letters typed in, the list instantly will respond to the required matching search results.
- Display non-positionable hooks checkbox - Checked, its shows all modules that cannot be positioned to a hook. By default, the checkbox is unchecked.
UI elements of the Positioning Hook listing
- Enable or Disable toggle switch button and hook name - Using toggle button to enable or disable the modules hooked to the hook. By default, the hook toggle button is enabled.
- Description of the hook - some of the positioning hooks can have descriptions, and those will be displayed right above the Enable or Disable toggle switch button and hook name.
- Checkbox with the quantity of modules - this checkbox is bulk-action style functionality that selects or unselects all the modules in the list.
- Selection UI element - by default, UI element is hidden, and it is indicated once there are some modules selected from the listing. The UI table contains checkmark icon, title with the naming Selection, total amount of selected modules and CTA button Unhook the selection. Clicking the CTA button will unhook the selected modules from the selected hook.
- Checkbox in the item of module listing - enables the Selection UI element, once it is checkboxed. Also enables the managing to unhook the selected module.
- Dragging dots indicator - becomes available, once the mouse cursor is hovering the module listing item. The purpose of this element, is to make the module list draggable, and to manage the arrangement of the listings. While clicked and holded on the list, the element can be dragged to the other arranged position in the list.
- Icon of the module - The icon of the module
- Name of the module - The name of the module
- Version of the module - The version of the module indicated.
- Description of the module - description of the module.
Arrangement w

A structure of composition C53H48AsN8O3S3Zn. Source: the Open Molecules 2025 dataset; level of theory: the ωB97M-V functional and the def2-TZVPD basis.

Results
total charge = +1
Kohn-Sham gap = 7.58 eV

Each line ends with the Löwdin charge.
Positions of all 117 atoms, in Å:
As (0.15458, -2.71133, -2.26342)  1.3740
Zn (-0.33516, 1.55048, -0.42575)  0.6681
S (-1.45410, 0.01574, -5.96791)  1.0647
S (1.08318, 4.33670, 0.64507)  0.6021
S (-1.91531, 4.28359, 2.22126)  1.0995
O (2.00905, 4.01019, -0.40604)  -0.2820
O (0.26395, 5.50666, 0.50467)  -0.3093
O (-1.81854, 0.65376, 5.27256)  0.0841
N (3.95445, 4.30069, 5.80495)  0.1150
N (1.38949, 0.32880, -0.95038)  0.0681
N (-0.80759, -0.06084, 0.92500)  0.0154
N (0.15948, 2.39185, -2.22757)  0.0473
N (-2.07736, 2.43603, 0.46151)  -0.0186
N (0.29806, -0.15278, 5.23370)  -0.0507
N (-1.26471, -0.24585, -3.40632)  -0.0049
N (0.12206, 2.99966, 0.83455)  -0.1937
C (1.77344, -5.10965, -2.90643)  -0.0976
C (-4.21900, 0.32566, -5.46641)  -0.0785
C (3.55810, 2.80125, -3.60712)  -0.0124
C (1.37745, -4.84760, -5.64416)  -0.0809
C (3.32694, 4.35980, 4.58276)  -0.3206
C (-2.60192, -0.02337, -3.66916)  -0.3431
C (2.33252, -6.02809, -3.78431)  -0.0778
C (-2.56258, -3.30882, -3.36655)  -0.0948
C (1.40324, 3.88092, -4.21782)  0.0273
C (-0.95138, -4.11429, -0.11562)  -0.2092
C (2.94942, 3.43964, 2.38458)  -0.0717
C (-1.82766, -0.88151, 0.67233)  -0.1208
C (-4.91302, 0.26164, -3.14820)  -0.0697
C (2.32241, 5.30725, 4.34553)  -0.0161
C (1.47203, 2.18397, -2.50952)  -0.1976
C (-3.85271, -3.79600, -3.21203)  -0.0695
C (-2.58721, -1.45104, 1.67875)  -0.0164
C (-1.65561, -3.41267, -2.32522)  -0.3068
C (1.36390, -0.91812, 4.60618)  -0.1984
C (-1.05556, -4.68688, 1.14715)  -0.0239
C (-3.47692, 3.64008, 1.82380)  -0.3656
C (-0.50078, 3.30608, -2.90073)  -0.0835
C (-2.02309, -4.03527, -1.12295)  -0.2053
C (-0.57951, -0.24350, -4.49433)  -0.5125
C (-2.91215, 0.13289, -5.03180)  -0.4725
C (3.62773, 3.42121, 3.58437)  -0.0360
C (0.51051, 0.32533, 6.60092)  -0.1857
C (0.26475, -3.54163, -0.51175)  -0.3475
C (0.02601, -4.66245, 2.01414)  -0.0710
C (1.00077, -4.06409, -3.39410)  -0.3766
C (-4.22951, -4.39052, -2.01482)  -0.0686
C (1.64230, 5.32177, 3.14392)  -0.0540
C (1.96800, 4.39728, 2.16419)  -0.3009
C (2.17094, 1.18158, -1.79201)  -0.2418
C (0.82800, -3.92455, -4.76953)  -0.1291
C (4.22688, 1.90374, -2.82658)  -0.0489
C (-3.36369, 2.68091, 0.88422)  -0.2251
C (-1.16807, -0.35971, 3.26638)  -0.0966
C (-2.26982, -1.16517, 2.99525)  0.0370
C (3.52773, 1.07914, -1.92363)  -0.0028
C (-0.91306, 0.08455, 4.68359)  -0.4225
C (0.07053, 4.03470, -3.95277)  -0.0158
C (2.12574, -5.90686, -5.14992)  -0.0819
C (0.77283, 1.82715, 6.66365)  -0.0599
C (-5.21298, 0.38244, -4.50956)  -0.0730
C (2.16294, 2.96330, -3.46222)  -0.1445
C (1.34561, -3.52480, 0.35729)  -0.1152
C (-0.47797, 0.17643, 2.19578)  -0.0715
C (-1.20035, 3.20108, 1.08869)  -0.7576
C (2.56974, -0.05795, 4.23162)  -0.0652
C (-3.61974, 0.05605, -2.71734)  -0.0190
- Arrangement numeric value - specific numeric value of the module arrangement, helps visualy find the module in the hook.
- Editing icon - Opens the transplant a module page with the module preselected.
- Three-dot menu - executes the dropdown element, where the unhooking action can be executed after the clicking on link Unhook.
UI Notifications after submissions
After executing the unhooking action of the selected hook, the success message is prompted instantly:
The module was successfully removed from the hook.
Multistoring functionality
Prestashop identifies all positioning hooks from the database, so if there are several shop groups or multistores created, system displays the hook list separately from each multistore. This means, that some of the hooks are listed in Multistore 1 and the other hooks can be listed, disabled or enabled, in Multistore 2.